Production Assistant (Film, Television, Radio or Stage)
Kaiāwhina Whakarite (Kiriata, Pouaka Whakaata, Irirangi, Whakaari rānei)
Alternative titles for this job
Production assistants help production teams organise the making of film, television, radio or stage productions.
Pay rates for production assistants vary depending on the type of production you work on.
Source: Attitude Group and Great Southern Television, 2018.
Job opportunities
Pay for production assistants varies depending on the type of production they are working on.
Production assistants often work on short-term contracts and work may be irregular with long periods between jobs.
Sources: Attitude Group; Fisheye Films; Great Southern Television; Picture Talk Productions, 2018.
(This information is a guide only. Find out more about the sources of our pay information)
What you will do
Production assistants may do some or all of the following:
- support the production manager and producer
- work out shooting schedules
- arrange production meetings
- co-ordinate and book production crews
- hire and book vehicles, accommodation, equipment and flights
- assist with housekeeping tasks such as tidying facilities
- get permission to use film locations
- administrative, publicity and research work
- clear copyright on music used.
Skills and knowledge
Production assistants need to have knowledge of:
- each department in their production company
- film and television production schedules
- how a studio operates and who to contact to fix problems
- how to use video editing software to perform basic editing tasks
- health and safety practices.
Working conditions
Production assistants:
- work varying hours, depending on the type of production. They may have to work 10-12 hour days with irregular hours, including evenings and weekends
- work in offices, studios, theatres and outside during location shoots
- may have to travel locally and nationally to work on productions.
What's the job really like?

Natalia Le Bas
Production Assistant
[Crystal structures from another source follow]
1.
# WO3, relaxed, DFT GGA+U
data_WO3
_chemical_formula_sum 'W8 O24'
_symmetry_space_group_name_H-M 'P 1 21/c 1'
_symmetry_Int_Tables_number 14
_cell_length_a 7.5683
_cell_length_b 7.6347
_cell_length_c 10.7371
_cell_angle_alpha 90.00
_cell_angle_beta 134.13
_cell_angle_gamma 90.00
loop_
_symmetry_equiv_pos_as_xyz
'x,y,z'
'-x,-y,-z'
'-x,y+1/2,-z+1/2'
'x,-y+1/2,z+1/2'
loop_
_atom_site_label
_atom_site_type_symbol
_atom_site_fract_x
_atom_site_fract_y
_atom_site_fract_z
_atom_site_occupancy
W1 W 0.0154 0.0146 0.2681 1
W2 W 0.4802 0.5170 0.7330 1
O1 O 0.0041 0.7432 0.7219 1
O2 O 0.2188 0.0339 0.2181 1
O3 O 0.2191 0.0356 0.7191 1
O4 O 0.2779 0.5332 0.4958 1
O5 O 0.2856 0.5131 0.0034 1
O6 O 0.4799 0.7428 0.2677 1
# Energy relative to the elements: -8.7 eV per formula unit

2.
# WO2, relaxed, DFT GGA+U
data_WO2
_chemical_formula_sum 'W12 O24'
_symmetry_space_group_name_H-M 'P n m a'
_symmetry_Int_Tables_number 62
_cell_length_a 10.7819
_cell_length_b 8.4826
_cell_length_c 4.8245
_cell_angle_alpha 90.00
_cell_angle_beta 90.00
_cell_angle_gamma 90.00
loop_
_symmetry_equiv_pos_as_xyz
'x,y,z'
'-x,-y,-z'
'-x+1/2,-y,z+1/2'
'x+1/2,y,-z+1/2'
'x+1/2,-y+1/2,-z+1/2'
'-x+1/2,y+1/2,z+1/2'
'-x,y+1/2,-z'
'x,-y+1/2,z'
loop_
_atom_site_label
_atom_site_type_symbol
_atom_site_fract_x
_atom_site_fract_y
_atom_site_fract_z
_atom_site_occupancy
W1 W 0.1029 0.2500 0.0201 1
W2 W 0.1344 0.5928 0.5079 1
O1 O 0.0313 0.0829 0.2825 1
O2 O 0.0549 0.7500 0.2402 1
O3 O 0.1976 0.0765 0.7954 1
O4 O 0.2338 0.7500 0.7586 1
# Energy relative to the elements: -5.3 eV per formula unit

3.
# WO3, relaxed, DFT GGA+U
data_WO3
_chemical_formula_sum 'W8 O24'
_symmetry_space_group_name_H-M 'P b c n'
_symmetry_Int_Tables_number 60
_cell_length_a 7.6938
_cell_length_b 7.7588
_cell_length_c 7.6859
_cell_angle_alpha 90.00
_cell_angle_beta 90.00
_cell_angle_gamma 90.00
loop_
_symmetry_equiv_pos_as_xyz
'x,y,z'
'-x,-y,-z'
'-x+1/2,-y+1/2,z+1/2'
'x+1/2,y+1/2,-z+1/2'
'x+1/2,-y+1/2,-z'
'-x+1/2,y+1/2,z'
'-x,y,-z+1/2'
'x,-y,z+1/2'
loop_
_atom_site_label
_atom_site_type_symbol
_atom_site_fract_x
_atom_site_fract_y
_atom_site_fract_z
_atom_site_occupancy
W1 W 0.2406 0.2355 0.0066 1
O1 O 0.0020 0.2420 0.5216 1
O2 O 0.2281 0.2489 0.2519 1
O3 O 0.2427 0.4969 0.0010 1
# Energy relative to the elements: -8.8 eV per formula unit

4.
# WO3, relaxed, DFT GGA+U
data_WO3
_chemical_formula_sum 'W8 O24'
_symmetry_space_group_name_H-M 'P b c n'
_symmetry_Int_Tables_number 60
_cell_length_a 7.6776
_cell_length_b 7.7642
_cell_length_c 7.7337
_cell_angle_alpha 90.00
_cell_angle_beta 90.00
_cell_angle_gamma 90.00
loop_
_symmetry_equiv_pos_as_xyz
'x,y,z'
'-x,-y,-z'
'-x+1/2,-y+1/2,z+1/2'
'x+1/2,y+1/2,-z+1/2'
'x+1/2,-y+1/2,-z'
'-x+1/2,y+1/2,z'
'-x,y,-z+1/2'
'x,-y,z+1/2'
loop_
_atom_site_label
_atom_site_type_symbol
_atom_site_fract_x
_atom_site_fract_y
_atom_site_fract_z
_atom_site_occupancy
W1 W 0.2487 0.2350 0.0155 1
O1 O 0.0001 0.2420 0.5152 1
O2 O 0.2346 0.2488 0.2555 1
O3 O 0.2419 0.4966 0.0055 1
Freelance production assistant Natalia Le Bas shares how she got into her job and what it’s all about.
Change of career
== Data records, kept here for reference ==
=====
V2ZnS4: relaxed, PBE.

Cell: 7.124 7.124 7.124 Å, 60.00 60.00 60.00°
Fractional positions:
S 0.367 0.367 0.900
V 0.125 0.125 0.125
Zn 0.500 0.500 0.500
S 0.350 0.883 0.883
S 0.883 0.350 0.883
S 0.883 0.883 0.350
V 0.125 0.125 0.625
S 0.367 0.900 0.367
S 0.883 0.883 0.883
S 0.367 0.367 0.367
V 0.125 0.625 0.125
Zn 0.750 0.750 0.750
S 0.900 0.367 0.367
V 0.625 0.125 0.125

* formation enthalpy at 0 K: -1124.4 meV/atom
* size of the total moment: 0.57 μB/atom
* theoretical density: 3839 kg/m³
* SG: No. 227

----------

(1)
A plane-wave DFT calculation with meta-GGA r2SCAN was carried out for a geometry-optimized SrHfN2 structure.

Structure (CIF):
```
data_SrHfN2
_chemical_formula_sum 'Sr2 Hf2 N4'
_cell_length_a 4.021
_cell_length_b 4.021
_cell_length_c 8.221
_cell_angle_alpha 90.00
_cell_angle_beta 90.00
_cell_angle_gamma 90.00
_symmetry_space_group_name_H-M 'P 4/n m m'
_symmetry_Int_Tables_number 129
loop_
_symmetry_equiv_pos_as_xyz
'x,y,z'
'-x,-y,-z'
'-y+1/2,x,z'
'y+1/2,-x,-z'
'-x+1/2,-y+1/2,z'
'x+1/2,y+1/2,-z'
'y,-x+1/2,z'
'-y,x+1/2,-z'
'x+1/2,-y,-z'
'-x+1/2,y,z'
'-y,-x,-z'
'y,x,z'
'-x,y+1/2,-z'
'x,-y+1/2,z'
'y+1/2,x+1/2,-z'
'-y+1/2,-x+1/2,z'
loop_
_atom_site_label
_atom_site_type_symbol
_atom_site_fract_x
_atom_site_fract_y
_atom_site_fract_z
Sr1 Sr 0.250 0.250 0.143
Hf1 Hf 0.250 0.250 0.592
N1 N 0.250 0.250 0.834
N2 N 0.250 0.750 0.500
```

E_tot, eV/atom: -21.310
Formation energy, eV/atom: -1.67
Magnetization, μB/cell: 0.000

***

(2)
A plane-wave DFT calculation with meta-GGA r2SCAN was carried out for a geometry-optimized Li15Si4 structure.

Structure (CIF):
```
data_Li15Si4
_chemical_formula_sum 'Li60 Si16'
_cell_length_a 10.556
_cell_length_b 10.556
_cell_length_c 10.556
_cell_angle_alpha 90.00
_cell_angle_beta 90.00
_cell_angle_gamma 90.00
_symmetry_space_group_name_H-M 'I -4 3 d'
_symmetry_Int_Tables_number 220
_symmetry_space_group_name_Hall 'I -4bd 2c 3'
loop_
_atom_site_label
_atom_site_type_symbol
_atom_site_fract_x
_atom_site_fract_y
_atom_site_fract_z
Li1 Li 0.000 0.250 0.875
Li2 Li 0.038 0.123 0.652
Si1 Si 0.043 0.043 0.043
```

E_tot, eV/atom: -3.994
Formation energy, eV/atom: -0.26
Magnetization, μB/cell: 0.000

***

(3)
A plane-wave DFT calculation with meta-GGA r2SCAN was carried out for a geometry-optimized Er2S3O12 structure.

Structure (CIF):
```
data_Er2S3O12
_chemical_formula_sum 'Er8 S12 O48'
_cell_length_a 12.694
_cell_length_b 9.149
_cell_length_c 9.207
_cell_angle_alpha 90.00
_cell_angle_beta 90.00
_cell_angle_gamma 90.00
_symmetry_space_group_name_H-M 'P b c n'
_symmetry_Int_Tables_number 60
loop_
_symmetry_equiv_pos_as_xyz
'x,y,z'
'-x,-y,-z'
'-x+1/2,-y+1/2,z+1/2'
'x+1/2,y+1/2,-z+1/2'
'x+1/2,-y+1/2,-z'
'-x+1/2,y+1/2,z'
'-x,y,-z+1/2'
'x,-y,z+1/2'
loop_
_atom_site_label
_atom_site_type_symbol
_atom_site_fract_x
_atom_site_fract_y
_atom_site_fract_z
Er1 Er 0.118 0.250 0.036
S1 S 0.000 0.034 0.750
S2 S 0.146 0.393 0.388
O1 O 0.041 0.337 0.423
O2 O 0.060 0.127 0.849
O3 O 0.074 0.058 0.168
O4 O 0.147 0.448 0.907
=====
== The article goes on ==
“I came back to New Zealand after teaching English in China and wasn't really sure what I wanted to do. I got a job in customer service and realised I didn't want to do that as a career, so I ended up enrolling in a one-year production management course at South Seas Film & Television School.
“A few months after graduation I was fortunate to secure a job at a talent agency and 18 months later decided to pursue a career in the screen industry as a freelance production assistant.”
Making sure things run smoothly
“My job mostly involves basic, boring work or small jobs that free up the production co-ordinator for more important tasks. Everything from keeping the kitchen clean and tidy and making coffee for guests, to booking and setting up meeting rooms, and getting quotes for goods and services.
“But it's not your typical nine-to-five job and many of the people I work with are extraordinarily creative and the best in the industry. It's exciting and amazing to be part of the creative process.”
Resilience is key
“The ebb and flow of work in the industry can be an obstacle. I’ve had to spend months hustling for work and doing temporary jobs between productions. I think the only obstacle is yourself though – you’ve just got to keep going.”
Entry requirements
There are no specific requirements to become a production assistant. However, a tertiary qualification in media production, broadcasting, or film and television may be useful.
A full driver's licence is usually required.
Secondary education
There are no specific secondary education requirements to become a production assistant. However, English, media studies, digital technologies, design and visual communication, music, dance, and drama are useful.
Personal requirements
Production assistants need to be:
- logical and practical
- fast and accurate
- good verbal and written communicators
- able to show initiative
- able to work well under pressure
- able to work as part of a team
- good at problem solving
- well organised, with good time management skills
- good at researching
- good at administrative duties.
It's not your typical nine to five job. It's exciting and amazing to be surrounded by and be part of the creative process.
Natalia Le Bas
Production Assistant
Useful experience
Useful experience for production assistants includes:
- work as a production runner or production secretary
- work as an office or administrative assistant
- work as a researcher for film and television productions
- work on their own film, theatre or digital productions
- experience organising and dealing with the public.
Physical requirements
Production assistants need to be reasonably fit as they may need to do physical tasks, especially on location shoots.
Check out related coursesWhat are the chances of getting a job?
Few opportunities for production assistants
It is difficult to get work as a production assistant in New Zealand because the entertainment industry is small.
Your chances of getting a job are best if you network regularly with industry contacts.
Most film industry professionals build a portfolio of previous work to showcase their professional skills.
According to the Census, 270 directors (film, television, radio or stage) worked in New Zealand in 2018.
Types of employers varied
Production assistants may work for independent project teams, television and film production companies, or for advertising agencies.
- Buckingham, D, general manager, Attitude Group, Careers Directorate – Tertiary Education Commission interview, March 2018.
- Creative New Zealand, 'Arts Council lays framework for Phase 2 of Creative New Zealand’s COVID-19 response' (media release), 01 May 2020.
- Elliott, G, producer, Picture Talk Productions, Careers Directorate – Tertiary Education Commission interview, March 2018.
- Jackson, S, production manager, Great Southern Television, Careers Directorate – Tertiary Education Commission interview, April 2018.
[Next to the text, the page also holds crystal structures]
- - -
(1)
A plane-wave DFT calculation with meta-GGA r2SCAN was carried out for an optimized crystal structure of PrInPt.

```
9
Lattice="7.7877 0.0000 0.0000 -3.8938 6.7443 0.0000 0.0000 0.0000 4.0152" Properties=species:S:1:pos:R:3 pbc="T T T"
Pr -2.2925 3.9706 0.0000
Pr 1.6014 2.7737 0.0000
Pr 4.5849 0.0000 0.0000
In -0.9833 1.7031 2.0076
In 1.9665 0.0000 2.0076
In 2.9106 5.0412 2.0076
Pt 0.0000 0.0000 0.0000
Pt 0.0000 4.4962 2.0076
Pt 3.8938 2.2481 2.0076
```

Summary:
DFT total energy: -35.56 eV per atom

=====

(2)
A plane-wave DFT calculation with meta-GGA r2SCAN was carried out for an optimized crystal structure of AcSnPd2.

```
16
Lattice="7.1609 0.0000 0.0000 0.0000 7.1609 0.0000 0.0000 0.0000 7.1609" Properties=species:S:1:pos:R:3 pbc="T T T"
Ac 0.0000 0.0000 0.0000
Ac 0.0000 3.5805 3.5805
Ac 3.5805 0.0000 3.5805
Ac 3.5805 3.5805 0.0000
Sn 0.0000 0.0000 3.5805
Sn 0.0000 3.5805 0.0000
Sn 3.5805 0.0000 0.0000
Sn 3.5805 3.5805 3.5805
Pd 1.7902 1.7902 1.7902
Pd 1.7902 1.7902 5.3707
Pd 1.7902 5.3707 1.7902
Pd 1.7902 5.3707 5.3707
Pd 5.3707 1.7902 1.7902
Pd 5.3707 1.7902 5.3707
Pd 5.3707 5.3707 1.7902
Pd 5.3707 5.3707 5.3707
```

Summary:
DFT total energy: -35.48 eV per atom

=====

(3)
A plane-wave DFT calculation with meta-GGA r2SCAN was carried out for an optimized crystal structure of NdP2Pt2.

```
10
Lattice="-2.1447 2.1447 9.5814 2.1447 -2.1447 9.5814 2.1447 2.1447 -9.5814" Properties=species:S:1:pos:R:3 pbc="T T T"
Nd 0.0000 0.0000 2.4013
Nd 0.0000 0.0000 16.7615
P 2.1447 0.0000 4.7907
P 0.0000 0.0000 8.2428
P 0.0000 0.0000 10.9200
P 0.0000 2.1447 4.7907
Pt 2.1447 0.0000 0.0000
Pt 0.0000 0.0000 5.8669
Pt 0.0000 2.1447 0.0000
Pt 0.0000 0.0000 13.2959
```

Summary:
DFT total energy: -31.16 eV per atom

=====

(4)
A plane-wave DFT calculation with meta-GGA r2SCAN was carried out for an optimized crystal structure of La2MnSe2O2.

```
56
Lattice="17.6284 0.0000 0.0000 0.0000 16.5131 0.0000 0.0000 0.0000 4.0160" Properties=species:S:1:pos:R:3 pbc="T T T"
La 1.4982 2.9369 4.0159
La 1.5490 11.0767 2.0051
La 1.5835 7.8662 4.0122
La 1.5825 16.2371 2.0080
La 7.2317 7.9806 0.0000
La 7.2307 16.1227 2.0043
La 7.2652 2.8201 4.0131
La 7.3160 11.1934 2.0079
La 10.3124 5.3196 4.0159
La 10.3632 13.6930 2.0051
La 10.3977 0.3904 4.0122
La 10.3967 8.5325 2.0080
La 16.0459 0.2760 0.0000
La 16.0449 8.6469 2.0043
La 16.0794 5.4364 4.0131
La 16.1302 13.5762 2.0079
Mn 3.8816 13.8081 0.0002
Mn 4.3804 1.8411 2.0103
Mn 4.4338 10.0976 0.0023
Mn 4.9326 5.5515 2.0082
Mn 12.6958 10.9616 0.0002
Mn 13.1946 6.4155 2.0103
Mn 13.2480 14.6720 0.0023
Mn 13.7468 2.7050 2.0082
Se 1.0773 5.4132 2.0049
Se 1.3069 13.7225 4.0151
Se 4.3772 4.0684 4.0143
Se 4.3804 16.3185 4.0125
Se 4.4338 8.0620 2.0045
Se 4.4369 12.3250 2.0063
Se 7.5072 5.4659 2.0071
Se 7.7369 13.6698 4.0128
Se 9.8915 2.8433 2.0049
Se 10.1211 11.0471 4.0151
Se 13.1914 4.1881 4.0143
Se 13.1946 8.4511 4.0125
Se 13.2480 0.1946 2.0045
Se 13.2511 12.4447 2.0063
Se 16.3214 2.7906 2.0071
Se 16.5511 11.0998 4.0128
- - -
- Ministry of Culture and Heritage, ‘Support for Arts and Music Sector Recovery’ (media release), 29 May 2020.
- Roe, T, general manager, Fisheye Films, Careers Directorate – Tertiary Education Commission interview, March 2018.
- Radio New Zealand, ‘The Impact of COVID-19 on the NZ Film Industry’, 19 March 2020, (
- Stats NZ, '2018 Census Data', 2019.
- Stats NZ, 'Screen Industry: 2015/16', April 2017, (
(This information is a guide only. Find out more about the sources of our job opportunities information)
Progression and specialisations
Production assistants usually specialise in either film, television, digital, radio or stage productions.
With experience, production assistants may move into other production roles, such as producer, director, editor or camera operator.
Last updated 7 August 2024